- - -
1.
Density functional theory data (r²SCAN) for ErAsS after structural relaxation.

* space group: Pnma, No. 62

Lattice parameters (Å, degrees): 3.7867 3.8195 16.8073 90.00 90.00 90.00
Fractional coordinates of all 12 atoms:
Er 0.2500 0.2333 0.8540
Er 0.2500 0.2667 0.3540
Er 0.7500 0.7667 0.1460
Er 0.7500 0.7333 0.6460
As 0.7500 0.2157 0.5019
As 0.7500 0.2843 0.0019
As 0.2500 0.7843 0.4981
As 0.2500 0.7157 0.9981
S 0.2500 0.2367 0.6872
S 0.2500 0.2633 0.1872
S 0.7500 0.7633 0.3128
S 0.7500 0.7367 0.8128


2.
Density functional theory data (r²SCAN) for LiFeAs after structural relaxation.

* space group: P4/nmm, No. 129

Lattice parameters (Å, degrees): 3.6727 3.6727 6.5767 90.00 90.00 90.00
Fractional coordinates of all 6 atoms:
Li 0.2500 0.2500 0.8435
Li 0.7500 0.7500 0.1565
Fe 0.7500 0.2500 0.5000
Fe 0.2500 0.7500 0.5000
As 0.2500 0.2500 0.2492
As 0.7500 0.7500 0.7508


3.
Density functional theory data (r²SCAN) for F after structural relaxation.

* space group: Pm-3n, No. 223

Lattice parameters (Å, degrees): 4.2904 4.2921 4.2937 90.00 90.00 90.00
Fractional coordinates of all 8 atoms:
F 0.0000 0.0000 0.0000
F 0.5000 0.5000 0.5000
F 0.2499 0.5000 0.0000
F 0.7501 0.5000 0.0000
F 0.5000 0.0000 0.2498
F 0.5000 0.0000 0.7502
F 0.0000 0.7497 0.5000
F 0.0000 0.2503 0.5000


4.
Density functional theory data (r²SCAN) for Er2FeC4 after structural relaxation.

* space group: Ibam, No. 72

Lattice parameters (Å, degrees): 4.9599 6.5024 6.5024 69.48 67.58 67.58
Fractional coordinates of all 14 atoms:
Er 0.1445 0.5114 0.1996
Er 0.8555 0.4886 0.8004
Er 0.3555 0.8004 0.4886
Er 0.6445 0.1996 0.5114
Fe 0.2500 0.0000 0.0000
Fe 0.7500 0.0000 0.0000
C 0.4219 0.2431 0.9130
C 0.5781 0.7569 0.0870
C 0.0781 0.0870 0.7569
C 0.9219 0.9130 0.2431
C 0.3704 0.4680 0.7911
C 0.6296 0.5320 0.2089
C 0.8704 0.7911 0.4680
C 0.1296 0.2089 0.5320


5.
Density functional theory data (r²SCAN) for BaCdSn after structural relaxation.

* space group: C2/m, No. 12

Lattice parameters (Å, degrees): 6.6115 6.6115 8.5368 50.09 50.09 46.64
Fractional coordinates of all 6 atoms:
Ba 0.5448 0.5448 0.7049
Ba 0.4552 0.4552 0.2951
Cd 0.1585 0.1585 0.2751
Cd 0.8415 0.8415 0.7249
Sn 0.8398 0.8398 0.0997
Sn 0.1602 0.1602 0.9003


6.
Density functional theory data (r²SCAN) for P2Pb3O8 after structural relaxation.

* space group: P3, No. 143

Lattice parameters (Å, degrees): 9.8126 9.8126 7.2114 90.00 90.00 120.00
Fractional coordinates of all 39 atoms:
P 0.6052 0.9818 0.2509
P 0.3767 0.3948 0.2509
P 0.0182 0.6233 0.2509
P 0.3972 0.0186 0.7516
P 0.6214 0.6028 0.7515
P 0.9814 0.3786 0.7516
Pb 0.7539 0.7402 0.2439
Pb 0.9863 0.2461 0.2439
Pb 0.2598 0.0137 0.2439
Pb 0.2584 0.2541 0.7572
Pb 0.9957 0.7416 0.7572
Pb 0.7459 0.0043 0.7572
Pb 0.6667 0.3333 0.4883
Pb 0.3333 0.6667 0.9952
Pb 0.3333 0.6667 0.4963
O 0.4246 0.9163 0.2370
O 0.4917 0.5754 0.2370
O 0.0837 0.5083 0.2370
O 0.5768 0.0938 0.7615
O 0.5170 0.4232 0.7615
O 0.9062 0.4830 0.7615
O 0.6959 0.1609 0.2611
O 0.4651 0.3041 0.2611
O 0.8390 0.5349 0.2611
O 0.3204 0.8364 0.7483
- - -

Repeat the data further up from the line with "0.2951" to the end character by character, please.

Ba 0.4552 0.4552 0.2951
Cd 0.1585 0.1585 0.2751
Cd 0.8415 0.8415 0.7249
Sn 0.8398 0.8398 0.0997
Sn 0.1602 0.1602 0.9003


6.
Density functional theory data (r²SCAN) for P2Pb3O8 after structural relaxation.

* space group: P3, No. 143

Lattice parameters (Å, degrees): 9.8126 9.8126 7.2114 90.00 90.00 120.00
Fractional coordinates of all 39 atoms:
P 0.6052 0.9818 0.2509
P 0.3767 0.3948 0.2509
P 0.0182 0.6233 0.2509
P 0.3972 0.0186 0.7516
P 0.6214 0.6028 0.7515
P 0.9814 0.3786 0.7516
Pb 0.7539 0.7402 0.2439
Pb 0.9863 0.2461 0.2439
Pb 0.2598 0.0137 0.2439
Pb 0.2584 0.2541 0.7572
Pb 0.9957 0.7416 0.7572
Pb 0.7459 0.0043 0.7572
Pb 0.6667 0.3333 0.4883
Pb 0.3333 0.6667 0.9952
Pb 0.3333 0.6667 0.4963
O 0.4246 0.9163 0.2370
O 0.4917 0.5754 0.2370
O 0.0837 0.5083 0.2370
O 0.5768 0.0938 0.7615
O 0.5170 0.4232 0.7615
O 0.9062 0.4830 0.7615
O 0.6959 0.1609 0.2611
O 0.4651 0.3041 0.2611
O 0.8390 0.5349 0.2611
O 0.3204 0.8364 0.7483